**What to do**
Retype all of the rows further below exactly.
**Material**
<<<
Compound: Tm2Re2N7
Source: Alexandria via LeMat-Bulk
Functional: PBE
Structure: relaxed

Geometry as CIF:
```
data_Tm2Re2N7
_space_group_name_H-M_alt 'C 1 2/m 1'
_space_group_IT_number 12
_cell_length_a 7.116
_cell_length_b 9.562
_cell_length_c 5.209
_cell_angle_alpha 90.00
_cell_angle_beta 102.96
_cell_angle_gamma 90.00
loop_
_space_group_symop_operation_xyz
'x,y,z'
'-x,-y,-z'
'-x,y,-z'
'x,-y,z'
'x+1/2,y+1/2,z'
'-x+1/2,-y+1/2,-z'
'-x+1/2,y+1/2,-z'
'x+1/2,-y+1/2,z'
loop_
_atom_site_label
_atom_site_fract_x
_atom_site_fract_y
_atom_site_fract_z
_atom_site_occupancy
Tm1 0.000 0.191 0.000 1
Re1 0.229 0.500 0.395 1
N1 0.000 0.500 0.500 1
N2 0.094 0.000 0.285 1
N3 0.238 0.344 0.205 1
```

Computed properties:
Uncorrected formation energy, eV per atom: -0.51
Total DFT energy (no corrections), eV/cell: -195.36

Compound: U3Re5N12
Source: Alexandria via LeMat-Bulk
Functional: PBE
Structure: relaxed

Geometry as CIF:
```
data_U3Re5N12
_space_group_name_H-M_alt 'I a -3 d'
_space_group_IT_number 230
_space_group_name_Hall '-I 4bd 2c 3'
_cell_length_a 12.665
_cell_length_b 12.665
_cell_length_c 12.665
_cell_angle_alpha 90.00
_cell_angle_beta 90.00
_cell_angle_gamma 90.00
loop_
_atom_site_label
_atom_site_fract_x
_atom_site_fract_y
_atom_site_fract_z
_atom_site_occupancy
U1 0.000 0.250 0.125 1
Re1 0.000 0.000 0.000 1
Re2 0.000 0.250 0.375 1
N1 0.029 0.053 0.651 1
```

Computed properties:
Uncorrected formation energy, eV per atom: -0.42
Total DFT energy (no corrections), eV/cell: -1635.42

Compound: UReN
Source: Alexandria via LeMat-Bulk
Functional: PBE
Structure: relaxed

Geometry as CIF:
```
data_UReN
_space_group_name_H-M_alt 'I 4 m m'
_space_group_IT_number 107
_space_group_name_Hall 'I 4 -2'
_cell_length_a 3.840
_cell_length_b 3.840
_cell_length_c 7.477
_cell_angle_alpha 90.00
_cell_angle_beta 90.00
_cell_angle_gamma 90.00
loop_
_atom_site_label
_atom_site_fract_x
_atom_site_fract_y
_atom_site_fract_z
_atom_site_occupancy
U1 0.000 0.000 0.000 1
Re1 0.000 0.000 0.472 1
N1 0.000 0.000 0.723 1
```

Computed properties:
Polymorph energy (0 for the lowest one), eV/atom: 0.589
Uncorrected formation energy, eV per atom: 0.46
Total DFT energy (no corrections), eV/cell: -61.35

Compound: UReN
Source: Alexandria via LeMat-Bulk
Functional: PBE
Structure: relaxed

Geometry as CIF:
```
data_UReN
_space_group_name_H-M_alt 'C 1 2/m 1'
_space_group_IT_number 12
_cell_length_a 9.532
_cell_length_b 4.547
_cell_length_c 5.151
_cell_angle_alpha 90.00
_cell_angle_beta 113.55
_cell_angle_gamma 90.00
loop_
_space_group_symop_operation_xyz
'x,y,z'
'-x,-y,-z'
'-x,y,-z'
'x,-y,z'
'x+1/2,y+1/2,z'
'-x+1/2,-y+1/2,-z'
'-x+1/2,y+1/2,-z'
'x+1/2,-y+1/2,z'
loop_
_atom_site_label
_atom_site_fract_x
_atom_site_fract_y
_atom_site_fract_z
_atom_site_occupancy
U1 0.170 0.000 0.173 1
Re1 0.029 0.500 0.281 1
N1 0.181 0.500 0.071 1
```

Computed properties:
Polymorph energy (0 for the lowest one), eV/atom: 0.000
Uncorrected formation energy, eV per atom: -0.13
Total DFT energy (no corrections), eV/cell: -129.77

Repeat the third record exactly.
Compound: UReN
Source: Alexandria via LeMat-Bulk
Functional: PBE
Structure: relaxed

Geometry as CIF:
```
data_UReN
_space_group_name_H-M_alt 'I 4 m m'
_space_group_IT_number 107
_space_group_name_Hall 'I 4 -2'
_cell_length_a 3.840
_cell_length_b 3.840
_cell_length_c 7.477
_cell_angle_alpha 90.00
_cell_angle_beta 90.00
_cell_angle_gamma 90.00
loop_
_atom_site_label
_atom_site_fract_x
_atom_site_fract_y
_atom_site_fract_z
_atom_site_occupancy
U1 0.000 0.000 0.000 1
Re1 0.000 0.000 0.472 1
N1 0.000 0.000 0.723 1
```

Computed properties:
Polymorph energy (0 for the lowest one), eV/atom: 0.589
Uncorrected formation energy, eV per atom: 0.46
Total DFT energy (no corrections), eV/cell: -61.35

=====

[1]
DFT (PBE) results for a relaxed AgSb2Te crystal.

Cell and atoms, written as POSCAR:
```
AgSb2Te
1.0
3.219 0.165 0.000
-0.843 3.111 0.000
0.000 0.000 10.395
Ag Sb Te
1 2 1
Cartesian
1.188 1.638 7.885
1.188 1.638 2.360
0.000 0.000 10.131
>>>
**Outcome**
Compound: Tm2Re2N7
Source: Alexandria via LeMat-Bulk
Functional: PBE
Structure: relaxed

Geometry as CIF:
```
data_Tm2Re2N7
_space_group_name_H-M_alt 'C 1 2/m 1'
_space_group_IT_number 12
_cell_length_a 7.116
_cell_length_b 9.562
_cell_length_c 5.209
_cell_angle_alpha 90.00
_cell_angle_beta 102.96
_cell_angle_gamma 90.00
loop_
_space_group_symop_operation_xyz
'x,y,z'
'-x,-y,-z'
'-x,y,-z'
'x,-y,z'
'x+1/2,y+1/2,z'
'-x+1/2,-y+1/2,-z'
'-x+1/2,y+1/2,-z'
'x+1/2,-y+1/2,z'
loop_
_atom_site_label
_atom_site_fract_x
_atom_site_fract_y
_atom_site_fract_z
_atom_site_occupancy
Tm1 0.000 0.191 0.000 1
Re1 0.229 0.500 0.395 1
N1 0.000 0.500 0.500 1
N2 0.094 0.000 0.285 1
N3 0.238 0.344 0.205 1
```

Computed properties:
Uncorrected formation energy, eV per atom: -0.51
Total DFT energy (no corrections), eV/cell: -195.36

Compound: U3Re5N12
Source: Alexandria via LeMat-Bulk
Functional: PBE
Structure: relaxed

Geometry as CIF:
```
data_U3Re5N12
_space_group_name_H-M_alt 'I a -3 d'
_space_group_IT_number 230
_space_group_name_Hall '-I 4bd 2c 3'
_cell_length_a 12.665
_cell_length_b 12.665
_cell_length_c 12.665
_cell_angle_alpha 90.00
_cell_angle_beta 90.00
_cell_angle_gamma 90.00
loop_
_atom_site_label
_atom_site_fract_x
_atom_site_fract_y
_atom_site_fract_z
_atom_site_occupancy
U1 0.000 0.250 0.125 1
Re1 0.000 0.000 0.000 1
Re2 0.000 0.250 0.375 1
N1 0.029 0.053 0.651 1
```

Computed properties:
Uncorrected formation energy, eV per atom: -0.42
Total DFT energy (no corrections), eV/cell: -1635.42

Compound: UReN
Source: Alexandria via LeMat-Bulk
Functional: PBE
Structure: relaxed

Geometry as CIF:
```
data_UReN
_space_group_name_H-M_alt 'I 4 m m'
_space_group_IT_number 107
_space_group_name_Hall 'I 4 -2'
_cell_length_a 3.840
_cell_length_b 3.840
_cell_length_c 7.477
_cell_angle_alpha 90.00
_cell_angle_beta 90.00
_cell_angle_gamma 90.00
loop_
_atom_site_label
_atom_site_fract_x
_atom_site_fract_y
_atom_site_fract_z
_atom_site_occupancy
U1 0.000 0.000 0.000 1
Re1 0.000 0.000 0.472 1
N1 0.000 0.000 0.723 1
```

Computed properties:
Polymorph energy (0 for the lowest one), eV/atom: 0.589
Uncorrected formation energy, eV per atom: 0.46
Total DFT energy (no corrections), eV/cell: -61.35

Compound: UReN
Source: Alexandria via LeMat-Bulk
Functional: PBE
Structure: relaxed

Geometry as CIF:
```
data_UReN
_space_group_name_H-M_alt 'C 1 2/m 1'
_space_group_IT_number 12
_cell_length_a 9.532
_cell_length_b 4.547
_cell_length_c 5.151
_cell_angle_alpha 90.00
_cell_angle_beta 113.55
_cell_angle_gamma 90.00
loop_
_space_group_symop_operation_xyz
'x,y,z'
'-x,-y,-z'
'-x,y,-z'
'x,-y,z'
'x+1/2,y+1/2,z'
'-x+1/2,-y+1/2,-z'
'-x+1/2,y+1/2,-z'
'x+1/2,-y+1/2,z'
loop_
_atom_site_label
_atom_site_fract_x
_atom_site_fract_y
_atom_site_fract_z
_atom_site_occupancy
U1 0.170 0.000 0.173 1
Re1 0.029 0.500 0.281 1
N1 0.181 0.500 0.071 1
```

Computed properties:
Polymorph energy (0 for the lowest one), eV/atom: 0.000
Uncorrected formation energy, eV per atom: -0.13
Total DFT energy (no corrections), eV/cell: -129.77

Repeat the third record exactly.
Compound: UReN
Source: Alexandria via LeMat-Bulk
Functional: PBE
Structure: relaxed

Geometry as CIF:
```
data_UReN
_space_group_name_H-M_alt 'I 4 m m'
_space_group_IT_number 107
_space_group_name_Hall 'I 4 -2'
_cell_length_a 3.840
_cell_length_b 3.840
_cell_length_c 7.477
_cell_angle_alpha 90.00
_cell_angle_beta 90.00
_cell_angle_gamma 90.00
loop_
_atom_site_label
_atom_site_fract_x
_atom_site_fract_y
_atom_site_fract_z
_atom_site_occupancy
U1 0.000 0.000 0.000 1
Re1 0.000 0.000 0.472 1
N1 0.000 0.000 0.723 1
```

Computed properties:
Polymorph energy (0 for the lowest one), eV/atom: 0.589
Uncorrected formation energy, eV per atom: 0.46
Total DFT energy (no corrections), eV/cell: -61.35

=====

[1]
DFT (PBE) results for a relaxed AgSb2Te crystal.

Cell and atoms, written as POSCAR:
```
AgSb2Te
1.0
3.219 0.165 0.000
-0.843 3.111 0.000
0.000 0.000 10.395
Ag Sb Te
1 2 1
Cartesian
1.188 1.638 7.885
1.188 1.638 2.360
0.000 0.000 10.131